Iftah Bratspiess, CEO of Sepio Systems, on Hardware Security

November 22, 2019


Iftah Bratspiess, CEO of Sepio Systems, on Hardware Security

Once upon a time, making electronics secure involved physically bolting a computer to a table, or locking it in a room.

Security is a critical issue today. Once upon a time, making electronics secure involved physically bolting a computer to a table, or locking it in a room. Real access security started as an information science, involving encryption, authentication, and such. It is now migrating to a combined hardware/software solution, but the systems and processes are still in development. We recently reached out to Iftah Bratspiess, CEO of Sepio Systems, and asked his take on the matter.

ECD: How do you see the current situation in the market for security?

Iftah: I would say there is a fake or false belief that the foundations of the hardware layer itself is secured by nature. Meaning that if you are able to correctly encrypt your data, for example, you're totally secured, which is not exactly the case these days. If you're building something on top of a foundation, or on top of layers, which are insecure by nature or by design, your total solution is not secured. It's getting not only everywhere in terms of applications and in domain, but it's also getting closer and closer to the world of physical devices and other devices.

ECD: Would say that it would be analogous to making sure that you've got to really secure vault door, and that the combination is only known to a very few people. And then the burglars break in through the roof.

Iftah: I think that's not a bad analogy, and yes, that's absolutely the case. Because you can build something, which is very secured by the points it secures or it is designed to be, but at the same time all the other directions are entirely open. So, I think that's a very good analogy.

ECD: Thank you. So you can have phenomenal software, but if the hardware is a fallible, then anyone can sneak in through the back door.

Iftah: That's correct. And even software is not one monolithic bunch like it used to be. By education and by experience, professional experience, I'm originally a hardware developer, board level developer. And then I did a lot of embedded software development and design. So, in the old days the software was just one bulk, one piece of software, which was running on your usually dedicated hardware and doing the purposive tasks. 

But these days, even the software itself is layered on and built of so many independent pieces and libraries and operating return, operating systems and other software modules that even if you develop theoretically your own application code, still a lot of software is running as part of your product or as part of your design without you really knowing what's inside that. And that very naturally can contain lots of vulnerabilities. And on top of that, of course comes the layer of hardware.

ECD: Can you give us an example of an application where you've got those levels of risk at multiple points?

Iftah: Yes. Let's take for example a simple office or enterprise printer. Let's just dive in the time tunnel and jump back some 20 years ago. A printer was mostly electromechanical device, with all the drivers and ink processing and there was a very simple port in most cases, the long known LPT port, which was mostly bit-banging the characters or the pictures or whatever.

And that was about it. So, the guy developing the software part of the printer, had a good understanding and a good visibility from the time the guy at the PC sends something to print, and until the time the ink dries on the page. Now, if you look at printers these days, every printer is connected to a network. At least one network, but in most cases it will also have an internet spot. It will also have WIFi or Bluetooth or other wireless interfaces. And that's just to begin with. Then there is a layer of very complex drivers and there is the layer of maintenance, that the printer can call home to the suppliers to say, "Well I need more ink."

Developing a printer now is now about the system, network protocols, remote access, and of course with the complexity of the software, it became necessary to integrate a software upgrade mechanism that is embedded in the printer itself. So not only it could have many vulnerabilities, it also allows a threat actor or the bad guy as we call it, to upgrade the firmware of the printer to do bad things other than printing. 

So, logging everything that you're printing, or even as it is connected to the network, even attacking your PCs or attacking your networking infrastructure from within the printer. Now, most chances are the guy that's the expert of the printer design are not experts at networking, are not experts at securing a boot loader and are not experts on networking protocols. That brings the mood of risks and vulnerabilities, which face the end user.

ECD: In fact, speaking of peripherals, there was a famous case of a casino that was broken into because they managed to get through the smart thermostat in an aquarium. I know that sounds a little oxymoronic but there are cases where the hardware is a soft point in the system.

Iftah: Naturally, the hardware guys and the embedded guys and the low level guys are very good at what they do. But they lack the experience and even the mindset of security professionals. So when they build and design the software or the hardware, they don't think security from the ground up. They think functionality. What should my product do? What should the specs be? They hardly think and integrate and take into consideration security restricts, security considerations. 

The other thing is that, the bad guys are not only looking for a box or as you say, open doors or windows in devices that exist. They, in many cases will mimic or spoof to be a legitimate device, which is very simple because let's say, for example, someone is using an innocent and real keyboard, computer keyboard from Dell or from Lenovo, from HP, or from whichever. Anyone today could very simply bring a very small microcontroller with USB port and then spoof or mimic itself to be just another keyboard. So he can actually type or emulate keystrokes if this user is doing things. 

**Records of molecules, kept here for reference:**
........
1.
DFT (ωB97M-V/def2-TZVPD) results for a structure of composition C2H5N5O6S in a non-equilibrium geometry.

The total energy is -1202.43416 hartree. The value obtained for the relative energy (zero: lowest compared OMol25 entry of this formula, charge and spin) is 3.103 eV. For the HOMO energy, the calculation gives -10.43 eV.

Last column: Mulliken charge in e.
Positions of all 19 atoms, in Å:
1 C -0.044 0.347 0.061  0.5296
2 C 1.001 -1.975 0.194  0.4805
3 N -3.480 -0.106 0.856  -0.4344
4 N 0.975 -0.590 -0.179  0.1487
5 N -1.225 -0.091 -0.134  -0.3090
6 N -3.965 -1.005 -0.099  1.3257
7 N 2.360 0.030 -0.236  -0.7259
8 O 2.285 -2.375 0.195  -0.5156
9 O -3.759 -0.739 -1.237  -0.6655
10 O 0.271 1.386 0.604  -0.6586
11 O 0.077 -2.522 0.650  -0.4657
12 O -4.529 -1.920 0.333  -0.6247
13 O -2.943 1.666 -0.643  -0.4620
14 S -2.179 1.010 0.569  0.5844
15 H -3.314 -0.591 1.673  0.2940
16 H 2.535 0.446 0.710  0.2844
17 H 2.271 0.760 -0.990  0.2817
18 H 2.851 -1.593 -0.015  0.4896
19 H -3.063 0.962 -1.349  0.4427

=====

2.
DFT (ωB97M-V/def2-TZVPD) results for a cluster of 15 separate species, C100H220N10O20 in total in a non-equilibrium geometry.

The total energy is -5994.00683 hartree. The value obtained for the relative energy (zero: lowest compared OMol25 entry of this formula, charge and spin) is 0.000 eV. For the HOMO energy, the calculation gives -8.25 eV.

Last column: Mulliken charge in e.
Positions of all 350 atoms, in Å:
1 C 24.159 17.515 27.461  -1.8655
2 C 23.946 18.738 26.525  2.0064
3 C 24.470 20.042 27.128  -0.9964
4 C 25.976 20.133 27.132  -0.8354
5 C 26.414 20.133 25.699  -1.1599
6 C 26.062 18.818 25.017  1.8135
7 N 24.622 18.596 25.232  0.7753
8 O 24.176 17.393 24.531  0.2575
9 C 26.282 18.955 23.502  -1.7816
10 C 26.900 17.656 25.511  -1.8784
11 C 22.465 18.874 26.279  -1.6709
12 H 23.979 16.585 26.935  0.2789
13 H 23.458 17.533 28.291  0.5084
14 H 25.145 17.459 27.904  0.2977
15 H 24.155 20.913 26.540  -0.0647
16 H 23.971 20.172 28.092  0.6123
17 H 26.387 19.238 27.649  0.3998
18 H 26.356 21.014 27.675  0.3813
19 H 27.522 20.212 25.676  0.4711
20 H 26.043 21.017 25.159  0.2816
21 H 25.494 19.577 23.009  -0.1733
22 H 27.238 19.479 23.366  0.7456
23 H 26.339 18.017 22.918  0.1862
24 H 26.917 17.623 26.595  0.3624
25 H 26.461 16.701 25.216  0.1920
26 H 27.924 17.597 25.147  0.4383
27 H 21.900 19.181 27.163  0.5297
28 H 21.975 18.010 25.854  0.2363
29 H 22.313 19.685 25.549  -0.2141
30 H 23.781 17.757 23.723  -0.0318
31 C 26.575 16.031 18.502  -1.1521
32 C 26.494 14.530 18.929  1.9627
33 C 27.626 13.690 18.327  -1.6069
34 C 28.953 13.727 19.077  -0.3787
35 C 28.657 13.332 20.490  -1.3099
36 C 27.730 14.349 21.206  2.2564
37 N 26.524 14.274 20.366  -0.0924
38 O 25.400 14.917 20.956  0.4295
39 C 27.343 13.785 22.599  -2.0782
40 C 28.121 15.809 21.354  -1.1273
41 C 25.115 14.021 18.426  -1.9799
42 H 25.976 16.660 19.176  -0.0471
43 H 26.210 16.104 17.469  0.5563
44 H 27.623 16.342 18.588  0.0440
45 H 27.242 12.684 18.217  0.5060
........
**End of the records of molecules:**

But in reality, this is a piece of software running on hardware, which is being abused or used to attack or to hit or infect the organizations. Everything is really simple these days with all the improvements, and the way that it's easier these days to develop embedded software, or developed and embedded product because there are lots of building blocks, at the very same time it's much easier now for attackers to do things.

== Next to the article, the page also holds records of molecules ==
Model a:
A gas-phase ion, C4H8BrClN (charge +1). Source: the Open Molecules 2025 dataset; level of theory: the ωB97M-V functional and the def2-TZVPD basis.

Properties
2S+1 ... 1
E_LUMO ... -3.7 eV
Structure (SMILES) ... C[C@]([NH3+])(Br)/C=C/Cl
E_HOMO ... -0.50773 Ha
Charge ... +1

Last column: Löwdin charge in e.
CARTESIAN COORDINATES (ANGSTROEM)
C -1.2114 0.1765 -0.6278  -0.0757
C -2.1968 -0.1676 0.2305  -0.6223
C 1.6192 0.1658 -1.0800  -0.0939
C 0.5052 -0.4024 -0.1733  -0.8183
N 0.5706 0.1904 1.2010  0.1151
Cl -3.8260 0.3497 -0.0401  0.6709
Br 0.5486 -2.3251 0.0205  0.8141
H -1.2344 0.8976 -1.5161  0.1273
H -2.1318 -0.7378 1.1789  0.0760
H 1.0869 0.2738 -2.0853  0.1124
H 1.9001 1.1116 -0.5816  0.0826
H 2.5560 -0.5133 -1.1828  0.1167
H -0.2583 0.0125 1.7092  0.0969
H 0.6425 1.2249 1.2078  0.1805
H 1.4295 -0.2565 1.7391  0.2177

---

Model b:
2 unconnected molecules or ions with the total composition C4H8BrClN. Source: the Open Molecules 2025 dataset; level of theory: the ωB97M-V functional and the def2-TZVPD basis.

Properties
2S+1 ... 1
E_LUMO (alpha / beta) ... -5.0 / -4.2 eV
E_HOMO (alpha / beta) ... -0.46390 / -0.48362 Ha
Charge ... +1

Last column: Löwdin charge in e.
CARTESIAN COORDINATES (ANGSTROEM)
C 1.6412 -1.2710 -0.3963  0.0625
C 2.5403 -0.4357 -0.0179  -0.6885
C -1.5150 0.0076 -1.1696  -0.0639
C -0.6561 0.5226 -0.0176  -0.6837
N -1.1555 0.4589 1.3954  0.0995
Cl 4.2769 -0.7783 -0.0489  0.6135
Br 0.4131 2.0584 0.0339  0.9158
H 1.2890 -2.0978 -1.0100  0.0679
H 2.2306 0.4560 0.4507  -0.0543
H -1.0166 0.1240 -2.0439  0.0526
H -1.9001 -0.9700 -1.0453  0.0835
H -2.3449 0.6956 -1.2088  0.0894
H -1.5310 -0.4866 1.6636  0.1891
H -1.9888 1.0203 1.4243  0.1465
H -0.2830 0.6959 1.9904  0.1702

---

Pick model a: it beats the second-best structure by 3.244 eV.

---

Model a:
A molecular structure, C12H26Cl3Ge2N2O3PPdSSe. Source: the Open Molecules 2025 dataset; level of theory: the ωB97M-V functional and the def2-TZVPD basis.

Properties
2S+1 ... 2
E_LUMO (alpha / beta) ... -5.5 / -5.6 eV
E_HOMO (alpha / beta) ... -0.41830 / -0.45506 Ha
Charge ... +1

Last column: Löwdin charge in e.
CARTESIAN COORDINATES (ANGSTROEM)
Pd 0.3273 0.3649 -0.8632  0.4306
C 3.3906 -0.9428 2.8230  -0.0495
C 2.4916 -1.6886 1.8750  -0.2221
O 1.1167 -1.1913 1.9791  -0.2405
P 0.3267 -0.0178 1.3595  0.5318
O -1.1368 -0.2021 1.8524  -0.2136
C -1.8831 -1.4678 1.8357  -0.2196
C -1.9711 -2.0124 3.2369  -0.0486
O 0.7918 1.3285 1.9704  -0.3008
C 0.5980 1.6329 3.4037  -0.1983
C 1.8091 2.3795 3.8886  -0.0486
H 4.3967 -1.3574 2.7526  0.0978
H 3.0525 -1.0454 3.8535  0.0923
H 3.4422 0.1121 2.5522  0.0668
H 2.3938 -2.7447 2.1113  0.1344
H 2.8208 -1.5856 0.8453  0.0502
H -1.3847 -2.1608 1.1573  0.0855
H -2.8563 -1.2062 1.4283  0.1293
H -0.9810 -2.2395 3.6310  0.0802
H -2.5522 -2.9348 3.2241  0.0949
H -2.4692 -1.3044 3.8974  0.0901
H 0.4375 0.6979 3.9404  0.1203
H -0.3075 2.2337 3.4538  0.1307
H 2.6955 1.7478 3.8949  0.0673
H 1.6272 2.7230 4.9074  0.0959
H 1.9961 3.2534 3.2662  0.0899

ECD: So what are some of the things you can do to mitigate attacks of that nature?

Iftah: Basically there are two facets to that. The first is, to be aware and scan and analyze and know about vulnerabilities either in complete end product, or in the components that are used to build the end product. This is one thing. The other thing, which is very unique and interesting and we're experts on is, our ability to build a list of, or a database of physical fingerprints. Now, every device these days has a logical footprint in the network. So if you take a surveillance camera, if you take a printer, if you take a credit card reader, every device has its own logical footprint in the network. It has a Mac address, it has the Bluetooth address, it has an iPad if it's connected to the network and so on and so forth.

But at the same time everything has its own physical fingerprint. It's an analogy to a fingerprint of the human being. If for example, you're using a Dell laptop, when it's connected to the network, other than the Mac address of Dell and the IP address that was assigned to this device, it has a physical behavior, timing characteristics, impudence, voltages, the way it negotiates the communication and establishes the link. 

So there is a lot of variation in the physical behavior, not to the packets that run on the wire, but on the way this is built. So if someone is trying to mimic or spoof or impersonate himself, let's say that an attacker is getting into your office, he knows you have an HP printer, he will configure in the program, his laptop to act or to impersonate as this legitimate HP printer.

So, had there not been any fingerprints for devices, no one is ever able to catch that, because he will act exactly the very same way the printer does. But if you take it into consideration, the physical fingerprints and as we know and expect a certain model of a certain vendor to have a certain physical fingerprint and you'll see based on anomaly detection and list of databases and we're seeing a mismatch or an anomaly that the physical fingerprint does not suit or comply with the logic of fingerprints we're seeing. This allows us to know that this is a spoofing attack. Someone is trying to act as easy as someone legitimate at the time he is not.

ECD: Got it. So now, put this into perspective as it applies to Sepio Systems, where do you place your value in that defense chain to benefit the customer?

Iftah: Sepio mostly addresses the financial sector, but we do have some telecom customers and critical infrastructure customers. Everyone that wants or needs to make sure he does not have any alien or ghost devices in the network, is coming to Sepio to benefit from our rogue device mitigation technology. 

We are running completely transparent and independent to the network, we never ask you to change anything in the way you deploy your network. We never ask you to reconfigure anything. We're just sitting in parallel to your entire infrastructure. And we're continuously collecting and analyzing all the physical and logic fingerprints in your environment.

When we say devices, as in rogue devices, it could be PC peripherals, your keyboard, your mouse, your printer, your barcode scanner, everything that is connected to a PC or if you know, a PC is not always a PC that belongs to an employee, sometimes it's an ATM, which is based on the PC. So every peripheral device that is connected to these PCs, is monitored by Sepio. At the same time, every device that is attached to a network port, is also monitored and classified and profiled by us. 

We provide the security teams of those organizations early indication that they have either vulnerable devices in the network they should control or mitigate, or if they have devices that are rogue by nature, meaning that someone just stepped in and edited something, replaced something, shipped something, connected something to your infrastructure, and from that point on, someone external and unknown has continuous access or foothold in your infrastructure. 

Because we are based on anomaly detection, the more installations we have, the larger our database of devices and fingerprints is. So we're getting more and more accurate or precise in our detection as we grow. Whenever we detect something that is beyond or outside the approved policy, or defined policy, we immediately block it. 

ECD: It’s been good to talk to you. Before I let you go though, do you have a final comment for our audience? Do you have any tips or something about yourself? 

Iftah: Yeah. I have two things I could say. The first is from my long years of perspective in the industry starting from a developer, then manager, then entrepreneur. I can say stick to your passion, try to do and work in things you like and enjoy and you're passionate about. This makes chances much, much higher of being successful. This is about the personal angle of things. 

The other thing is about people trying or wanting their environmental infrastructure to be as secure as possible, is that, you should think security from the first moment. From the first block diagram, you should think security, and if you're a user or administrator, you should trust nothing. You should build a layered infrastructure, a layered set of security solutions, that together will allow you to have good visibility for the asset you're having. And then what is the policy that you define? What you allow, what you disallow, and then enforce that policy. Unless you know the assets you have, and unless you have a strict policy that you enforce, you're never secure.